[Material]
~~~
Density functional theory data (the ωB97M-V functional and the def2-TZVPD basis) for a 3-piece molecular cluster, C37H53BrF16INO11S2 overall in a non-equilibrium geometry.

Computed properties:
- Calculated total energy: -206529.6498 eV
- SMILES string: CCOCCOC[C@@]1(N=C=O)O[C@](CCCBr)(C[C@@H](C)I)[C@@H](SCC(=O)OC[C@H](C)OC(=O)CS)[C@@H]1CCCOC.FC(F)C(F)(F)COC(F)(F)C(F)F.FC(F)C(F)(F)COC(F)(F)C(F)F
- Kohn-Sham gap: 8.92 eV

XYZ file:
```
122
Properties=species:S:1:pos:R:3:forces:R:3
C -0.65357 2.34968 3.77933 0.5 1.0 -0.2
C 0.68754 3.19308 3.71920 -1.0 -1.1 0.0
O 0.45668 4.24730 2.76868 0.7 -0.2 -0.4
C 1.43742 4.25662 1.73930 1.0 -0.1 0.2
C 1.39082 3.02124 0.74500 1.3 -0.4 1.2
O 0.11877 2.37093 0.65235 0.4 1.3 -1.4
C -0.39103 2.37829 -0.66717 -1.8 -0.2 -0.6
C -0.30810 0.94031 -1.39081 2.0 -2.0 3.3
N 0.49679 0.84564 -2.64787 -1.2 1.4 -0.3
C 0.17110 1.66713 -3.49594 -0.5 -1.9 1.1
O -0.29285 2.31546 -4.31973 0.1 1.5 -1.5
O 0.55210 0.23868 -0.45434 -0.3 0.0 -0.2
C 0.45341 -1.21471 -0.50712 -0.3 1.3 -0.1
C 0.48933 -1.58881 1.01602 0.1 0.0 -0.3
C -0.87397 -1.44036 1.76884 0.8 -0.3 1.6
C -0.58875 -1.78270 3.30051 -0.3 -1.0 -1.4
Br -2.10057 -1.09723 4.35819 0.7 -0.2 -0.1
C 1.66301 -1.76649 -1.33071 0.3 -0.6 0.9
C 3.08038 -1.47446 -0.70350 0.2 -1.8 -1.0
C 4.10044 -2.49249 -1.38723 -0.2 1.2 -0.7
I 3.84295 0.51738 -1.24310 -0.3 -0.6 0.6
C -0.88568 -1.38430 -1.32672 0.1 0.4 -1.4
S -1.86523 -2.92531 -1.15856 -0.1 0.0 0.1
C -3.47590 -2.53280 -0.37619 -0.8 0.5 0.6
C -3.82907 -3.44795 0.84359 0.4 1.1 0.3
O -3.50034 -4.58513 0.95357 0.0 -0.4 -0.4
O -4.54461 -2.81019 1.86101 -0.3 -0.6 -1.9
C -5.80844 -3.45329 2.11512 -0.9 0.6 1.6
C -7.02569 -2.47140 1.85490 0.2 -1.2 -1.1
C -6.93439 -1.77351 0.45019 0.0 -0.4 -0.3
O -7.25535 -1.57206 2.96021 0.8 0.7 -0.8
C -6.52146 -0.39405 2.86905 -1.1 1.3 -0.2
O -5.36833 -0.28050 3.10511 0.5 -0.5 0.2
C -7.30860 0.92297 2.46411 -0.5 -0.5 0.6
S -9.10953 0.50000 2.32987 -0.3 0.1 -0.1
C -1.61289 0.01538 -1.28306 1.7 0.5 -0.5
C -2.63976 0.37036 -2.41425 -0.8 -0.7 0.3
C -4.15565 0.40896 -1.98597 0.0 0.7 -0.2
C -4.49537 1.42426 -0.83988 -1.3 -0.4 -0.9
O -4.19192 0.92828 0.46284 1.0 0.7 -0.7
C -3.66212 1.92180 1.34626 -0.1 0.4 0.9
H -1.47089 3.04839 3.45261 0.6 -0.7 0.5
H -0.85886 1.97608 4.80702 0.1 0.0 -0.9
H -0.59574 1.54827 3.00680 -0.1 0.4 0.8
H 0.98132 3.59988 4.71731 -0.3 0.0 -0.8
H 1.49452 2.48576 3.39978 -0.4 0.8 0.1
H 1.44897 5.22035 1.16275 -0.7 -0.7 0.7
H 2.44125 4.21632 2.25539 -1.1 0.1 -0.7
H 1.81892 3.35208 -0.23222 -0.6 -0.4 0.6
H 2.11472 2.25851 1.15072 -0.7 0.6 -0.5
H 0.02768 3.19618 -1.30207 -0.1 -0.7 0.4
H -1.49520 2.58433 -0.56875 0.9 -0.1 -0.2
H 1.19891 -0.85724 1.49654 -0.6 -0.6 -0.6
H 0.97503 -2.59440 1.16182 -0.8 0.7 -0.1
H -1.28107 -0.39972 1.77522 0.5 -0.7 -0.5
H -1.66014 -2.16127 1.45374 0.6 0.7 0.0
H -0.63104 -2.90003 3.38883 0.1 1.1 0.2
H 0.41422 -1.44322 3.64087 -1.0 0.2 0.0
H 1.67791 -1.44973 -2.39512 -0.3 0.0 0.9
H 1.55168 -2.89143 -1.34520 0.1 0.9 0.1
H 3.11422 -1.64995 0.39455 -0.1 0.7 -0.8
H 4.28301 -2.08518 -2.41481 0.0 -0.6 0.9
H 3.64553 -3.50078 -1.53489 0.4 0.6 0.5
H 5.09585 -2.50368 -0.88552 -0.9 -0.2 -0.2
H -0.50944 -1.46834 -2.38804 -0.5 -0.1 0.9
H -3.58390 -1.46307 -0.05491 0.3 -0.9 -0.2
H -4.26899 -2.71296 -1.15396 0.7 0.1 0.8
H -5.94013 -4.41540 1.56664 0.3 0.8 0.2
H -5.83342 -3.66744 3.21909 0.0 0.0 -1.0
H -7.92432 -3.14598 1.81305 0.7 0.8 0.4
H -7.40280 -2.46761 -0.29959 0.4 0.6 0.6
H -5.88148 -1.59920 0.12824 -0.8 0.0 0.5
H -7.48345 -0.80622 0.37738 0.3 -0.8 0.2
H -6.87963 1.28424 1.49402 -0.4 -0.3 0.9
H -7.17365 1.66746 3.28718 0.1 -0.6 -0.8
H -9.83525 1.59799 2.72176 1.0 -0.2 -0.2
H -1.90169 0.13223 -0.21132 -0.4 0.4 -1.0
H -2.54907 -0.39252 -3.23163 0.1 0.6 0.6
H -2.42844 1.36520 -2.89614 0.0 -0.8 0.7
H -4.59522 -0.58975 -1.75177 0.5 0.8 -0.1
H -4.71979 0.77921 -2.88945 0.4 -0.3 0.8
H -5.61799 1.56757 -0.87863 0.9 0.0 0.0
H -4.05332 2.42167 -1.08833 0.0 -0.7 0.5
H -2.88287 1.47268 2.01727 -0.9 0.2 -0.5
H -3.17358 2.78775 0.83584 -0.4 -0.7 0.0
~~~

[Work order]
What is needed: write out the lines further above up to the one that holds "0.1 0.8", that line included.

[Result]
Density functional theory data (the ωB97M-V functional and the def2-TZVPD basis) for a 3-piece molecular cluster, C37H53BrF16INO11S2 overall in a non-equilibrium geometry.

Computed properties:
- Calculated total energy: -206529.6498 eV
- SMILES string: CCOCCOC[C@@]1(N=C=O)O[C@](CCCBr)(C[C@@H](C)I)[C@@H](SCC(=O)OC[C@H](C)OC(=O)CS)[C@@H]1CCCOC.FC(F)C(F)(F)COC(F)(F)C(F)F.FC(F)C(F)(F)COC(F)(F)C(F)F
- Kohn-Sham gap: 8.92 eV

XYZ file:
```
122
Properties=species:S:1:pos:R:3:forces:R:3
C -0.65357 2.34968 3.77933 0.5 1.0 -0.2
C 0.68754 3.19308 3.71920 -1.0 -1.1 0.0
O 0.45668 4.24730 2.76868 0.7 -0.2 -0.4
C 1.43742 4.25662 1.73930 1.0 -0.1 0.2
C 1.39082 3.02124 0.74500 1.3 -0.4 1.2
O 0.11877 2.37093 0.65235 0.4 1.3 -1.4
C -0.39103 2.37829 -0.66717 -1.8 -0.2 -0.6
C -0.30810 0.94031 -1.39081 2.0 -2.0 3.3
N 0.49679 0.84564 -2.64787 -1.2 1.4 -0.3
C 0.17110 1.66713 -3.49594 -0.5 -1.9 1.1
O -0.29285 2.31546 -4.31973 0.1 1.5 -1.5
O 0.55210 0.23868 -0.45434 -0.3 0.0 -0.2
C 0.45341 -1.21471 -0.50712 -0.3 1.3 -0.1
C 0.48933 -1.58881 1.01602 0.1 0.0 -0.3
C -0.87397 -1.44036 1.76884 0.8 -0.3 1.6
C -0.58875 -1.78270 3.30051 -0.3 -1.0 -1.4
Br -2.10057 -1.09723 4.35819 0.7 -0.2 -0.1
C 1.66301 -1.76649 -1.33071 0.3 -0.6 0.9
C 3.08038 -1.47446 -0.70350 0.2 -1.8 -1.0
C 4.10044 -2.49249 -1.38723 -0.2 1.2 -0.7
I 3.84295 0.51738 -1.24310 -0.3 -0.6 0.6
C -0.88568 -1.38430 -1.32672 0.1 0.4 -1.4
S -1.86523 -2.92531 -1.15856 -0.1 0.0 0.1
C -3.47590 -2.53280 -0.37619 -0.8 0.5 0.6
C -3.82907 -3.44795 0.84359 0.4 1.1 0.3
O -3.50034 -4.58513 0.95357 0.0 -0.4 -0.4
O -4.54461 -2.81019 1.86101 -0.3 -0.6 -1.9
C -5.80844 -3.45329 2.11512 -0.9 0.6 1.6
C -7.02569 -2.47140 1.85490 0.2 -1.2 -1.1
C -6.93439 -1.77351 0.45019 0.0 -0.4 -0.3
O -7.25535 -1.57206 2.96021 0.8 0.7 -0.8
C -6.52146 -0.39405 2.86905 -1.1 1.3 -0.2
O -5.36833 -0.28050 3.10511 0.5 -0.5 0.2
C -7.30860 0.92297 2.46411 -0.5 -0.5 0.6
S -9.10953 0.50000 2.32987 -0.3 0.1 -0.1
C -1.61289 0.01538 -1.28306 1.7 0.5 -0.5
C -2.63976 0.37036 -2.41425 -0.8 -0.7 0.3
C -4.15565 0.40896 -1.98597 0.0 0.7 -0.2
C -4.49537 1.42426 -0.83988 -1.3 -0.4 -0.9
O -4.19192 0.92828 0.46284 1.0 0.7 -0.7
C -3.66212 1.92180 1.34626 -0.1 0.4 0.9
H -1.47089 3.04839 3.45261 0.6 -0.7 0.5
H -0.85886 1.97608 4.80702 0.1 0.0 -0.9
H -0.59574 1.54827 3.00680 -0.1 0.4 0.8
H 0.98132 3.59988 4.71731 -0.3 0.0 -0.8
H 1.49452 2.48576 3.39978 -0.4 0.8 0.1
H 1.44897 5.22035 1.16275 -0.7 -0.7 0.7
H 2.44125 4.21632 2.25539 -1.1 0.1 -0.7
H 1.81892 3.35208 -0.23222 -0.6 -0.4 0.6
H 2.11472 2.25851 1.15072 -0.7 0.6 -0.5
H 0.02768 3.19618 -1.30207 -0.1 -0.7 0.4
H -1.49520 2.58433 -0.56875 0.9 -0.1 -0.2
H 1.19891 -0.85724 1.49654 -0.6 -0.6 -0.6
H 0.97503 -2.59440 1.16182 -0.8 0.7 -0.1
H -1.28107 -0.39972 1.77522 0.5 -0.7 -0.5
H -1.66014 -2.16127 1.45374 0.6 0.7 0.0
H -0.63104 -2.90003 3.38883 0.1 1.1 0.2
H 0.41422 -1.44322 3.64087 -1.0 0.2 0.0
H 1.67791 -1.44973 -2.39512 -0.3 0.0 0.9
H 1.55168 -2.89143 -1.34520 0.1 0.9 0.1
H 3.11422 -1.64995 0.39455 -0.1 0.7 -0.8
H 4.28301 -2.08518 -2.41481 0.0 -0.6 0.9
H 3.64553 -3.50078 -1.53489 0.4 0.6 0.5
H 5.09585 -2.50368 -0.88552 -0.9 -0.2 -0.2
H -0.50944 -1.46834 -2.38804 -0.5 -0.1 0.9
H -3.58390 -1.46307 -0.05491 0.3 -0.9 -0.2
H -4.26899 -2.71296 -1.15396 0.7 0.1 0.8